- 0
Add Classical Chinese Translation
#673 opened by ZOPtTMX22zcBAl6i1HbGPbFwZzuelxkr8Zlq1t3 - 1
Add sound of DIY train
#678 opened by kester0312 - 6
#679 opened by Yexiaowei11 - 0
Route Navigation(probably) within localhost:8888 returns error.
#680 opened by Jacky0987 - 1
#674 opened by Yexiaowei11 - 1
Bug while leaving a train
#675 opened by Agrannok - 2
Ticket Processors letting players with 0 $ through, leading to a balance of -1
#676 opened by Alidonis - 2
Crash: CTD Minecraft 1.19.2; Quilt 0.18.10
#681 opened by LunarPidgeon - 1
My Train passes almost all stations except one and in that the train wont depart
#682 opened by FewCurve - 1
#683 opened by sssysy - 1
#684 opened by pokOSlanx - 2
Pathfinder refuses to work for some routes.
#685 opened by SachaStickman - 5
#686 opened by YYLWZDXPGD - 0
#687 opened by YYLWZDXPGD - 3
MTR hosted on server has an issue of 3 minutes delay on the timeboard.
#688 opened by Jacky0987 - 2
无法加载网络模型 | Not Able to Load Mesh Items in Resoursepack Creator
#689 opened by ACS-resources - 2
#690 opened by Sophiapinkcutie - 0
Crashed when editing platform gates
#691 opened by JaydenChu0731 - 0
I'd like to have the new Q trains
#692 opened by Sophiapinkcutie - 1
How To remove Elevators?
#693 opened by Thekielgamer - 2
Inserted here: calculated crystals
- - -
The following is a theoretical XRD peak list of ZrN. It was derived from the GGA-PBE geometry in the Materials Project, using Cu Kα.
Lines closer than 0.1° are merged.

The 8 most intense peaks (15° ≤ 2θ ≤ 90°), sorted by position:
| d (Å) | 2θ (°) | I/Imax | hkl |
| --- | --- | --- | --- |
| 2.935 | 30.45 | 32 | 0 0 1 |
| 2.729 | 32.82 | 96 | 1 0 0 |
| 1.999 | 45.38 | 100 | 1 0 1 |
| 1.575 | 58.59 | 25 | 1 1 0 |
| 1.388 | 67.47 | 20 | 1 1 1 |
| 1.364 | 68.81 | 11 | 2 0 0 |
| 1.293 | 73.23 | 18 | 1 0 2 |
| 1.237 | 77.08 | 19 | 2 0 1 |

Atomic structure:
```
ZrN
1.0
3.1509 0.0000 0.0000
-1.5755 2.7288 0.0000
0.0000 0.0000 2.9353
Zr N
1 1
direct
0.0000 0.0000 0.0000
0.3333 0.6667 0.5000
```

=====

The following is a theoretical XRD peak list of ZrN. It was derived from the GGA-PBE geometry in the Materials Project, using Cu Kα.
Lines closer than 0.1° are merged.

The 8 most intense peaks (15° ≤ 2θ ≤ 90°), sorted by position:
| d (Å) | 2θ (°) | I/Imax | hkl |
| --- | --- | --- | --- |
| 2.855 | 31.33 | 30 | 0 0 2 |
| 2.786 | 32.13 | 100 | 1 0 0 |
| 1.994 | 45.50 | 98 | 1 0 2 |
| 1.608 | 57.28 | 27 | 1 1 0 |
| 1.401 | 66.76 | 21 | 1 1 2 |
| 1.393 | 67.21 | 12 | 2 0 0 |
| 1.270 | 74.73 | 17 | 1 0 4 |
| 1.252 | 76.03 | 20 | 2 0 2 |

Atomic structure:
```
ZrN
1.0
3.2166 0.0000 0.0000
-1.6083 2.7857 0.0000
0.0000 0.0000 5.7094
Zr N
2 2
direct
0.0000 0.0000 0.0000
0.0000 0.0000 0.5000
0.3333 0.6667 0.2500
0.6667 0.3333 0.7500
```

=====

The following is a theoretical XRD peak list of ZrN. It was derived from the GGA-PBE geometry in the Materials Project, using Cu Kα.
Lines closer than 0.1° are merged.

The 8 most intense peaks (15° ≤ 2θ ≤ 90°), sorted by position:
| d (Å) | 2θ (°) | I/Imax | hkl |
| --- | --- | --- | --- |
| 2.778 | 32.22 | 11 | 1 0 0 |
| 2.760 | 32.44 | 22 | 0 0 2 |
| 2.481 | 36.20 | 100 | 1 0 1 |
| 1.958 | 46.37 | 26 | 1 0 2 |
| 1.604 | 57.46 | 21 | 1 1 0 |
| 1.534 | 60.33 | 22 | 1 0 3 |
| 1.387 | 67.55 | 16 | 1 1 2 |
| 1.347 | 69.83 | 14 | 2 0 1 |

Atomic structure:
```
ZrN
1.0
3.2076 0.0000 0.0000
-1.6038 2.7779 0.0000
0.0000 0.0000 5.5204
Zr N
2 2
direct
0.3333 0.6667 0.2500
0.6667 0.3333 0.7500
0.0000 0.0000 0.0000
0.0000 0.0000 0.5000
```

=====

The following is a theoretical XRD peak list of ZrN. It was derived from the GGA-PBE geometry in the Materials Project, using Cu Kα.
Lines closer than 0.1° are merged.

The 8 most intense peaks (15° ≤ 2θ ≤ 90°), sorted by position:
| d (Å) | 2θ (°) | I/Imax | hkl |
| --- | --- | --- | --- |
| 2.881 | 31.04 | 100 | 1 1 1 |
| 2.495 | 35.99 | 36 | 2 0 0 |
| 1.764 | 51.81 | 42 | 2 2 0 |
| 1.505 | 61.64 | 39 | 3 1 1 |
| 1.441 | 64.70 | 9 | 2 2 2 |
| 1.248 | 76.32 | 6 | 4 0 0 |
| 1.145 | 84.65 | 16 | 3 3 1 |
| 1.116 | 87.39 | 12 | 4 2 0 |

Atomic structure:
```
ZrN
1.0
4.9908 0.0000 0.0000
0.0000 4.9908 0.0000
0.0000 0.0000 4.9908
Zr N
4 4
direct
0.0000 0.0000 0.0000
0.0000 0.5000 0.5000
0.5000 0.0000 0.5000
0.5000 0.5000 0.0000
0.2500 0.2500 0.7500
0.2500 0.7500 0.2500
0.7500 0.2500 0.2500
- - -
Airplane Bug
#694 opened by Thekielgamer - 4
Elevator Doors make blocks around it unbreakable until server syncs with client
#695 opened by bernzrdo - 1
Decoration Addon loading error
#698 opened by BoborMBI2 - 1
Elevator doors staying open(Note: does not crash)
#699 opened by CowSheep72 - 0
minecraft transit railway resource oack bug
#708 opened by SethPederito2023 - 3
Support for 1.7.10 and 1.12.2
#709 opened by diyamomd45 - 1
minecraft mtr 1.20 update
#700 opened by Jecakoh - 4
1.20 "mod failed to load correctly"
#701 opened by CookieMan3211 - 0
Speed Elevator
#702 opened by ForTyxx13 - 1
Mipmap are dropped
#703 opened by squid233 - 3
Problem with Passenger Information Display System
#704 opened by JohnDeereLiebhaber - 6
the platform screen doors are glitched when i place them in 1.20 curseforge with fabric api and architectury
#705 opened by thingy108 - 2
Some requests for the MTR mod
#706 opened by CowSheep72 - 3
Pleasell me how to get OVERHEAD WIRES and PANTOGRAPHS please!!! im on singleplayer 1.19.4
#717 opened by thingy108 - 2
Pathfinding algorithm doesn't choose the best route.
#710 opened by Libertas007 - 2
Make ticket currency configurable.
#711 opened by shantih19 - 5
Ad Astra Lander not working
#713 opened by Drakune - 1
停站较多的长线路不能刷新路线 | Can't create the path of a long route
#715 opened by NTC2-MEMZ - 1
1.20.1 fabirc服务端加载遇到问题 | 1.20.1 fabirc server load error
#722 opened by ayakasuki - 2
这个模组的改进|Improvement of this mod.
#720 opened by YYLWZDXPGD - 3
Encountered an error during the sided_setup event phase [1.19] [PLEASE HELP]
#718 opened by rvglx - 1
Update Modern Elevators and Escalators
#728 opened by ShenxPresent - 4
Error 404 on Webserver with Quilt Modloader
#726 opened by rdvdev2 - 4
Lift Dore's and Displays are buggy in 1.20.1 fabric (alpha version of mod)
#727 opened by justinsanjp - 2
1.20.1 Forge服务器安装MTR无法启动 | 1.20.1 Forge server cannot start when MTR installed
#724 opened by littlekan233 - 1
Passenger Information Display System problem
#725 opened by freesomebodywh - 0
Translation Rework
#732 opened by AoSankaku - 2
(Forge) MTR-forge-1.20-3.2.2-hotfix-1.jar installation crashed on server
#729 opened by garrett20090 - 7
1.20.1 Crash Reports
#730 opened by oopsjoe - 2
[1.18.2-Forge] Statiom Decoration crash
#731 opened by CptPICHU